Job:
Please reproduce the part of the calculation results further below that starts with the line with "'-y+3/4,x+3/4,-z+3/4'" and stops after the one with "'x+1/2,y+1/2,z+1/2'".

Source:
┌──
No. 1
V12O29: computed powder diffraction line list (Cu Ka), based on a PBE+U-relaxed structure.
No peak broadening, texture or thermal motion is included.

Principal peaks in the range 10 to 80 degrees two-theta, by intensity:
- 12.74 deg, intensity 1000, (4 0 0)
- 25.79 deg, intensity 888, (1 1 -1)
- 28.91 deg, intensity 455, (8 0 1)
- 29.30 deg, intensity 394, (6 0 -3)
- 49.67 deg, intensity 320, (0 2 0)
- 32.36 deg, intensity 288, (5 1 -2)
- 41.84 deg, intensity 251, (12 0 1)
- 60.53 deg, intensity 171, (7 1 -6)
- 13.85 deg, intensity 158, (4 0 -1)
- 58.70 deg, intensity 157, (18 0 -2)

```
data_V12O29
_space_group_name_H-M_alt 'C 1 2/m 1'
_space_group_IT_number 12
_space_group_name_Hall '-C 2y'
_cell_length_a 28.451
_cell_length_b 3.671
_cell_length_c 10.327
_cell_angle_alpha 90.00
_cell_angle_beta 102.33
_cell_angle_gamma 90.00
loop_
_atom_site_label
_atom_site_fract_x
_atom_site_fract_y
_atom_site_fract_z
V1 0.062 0.000 0.086
V2 0.086 0.500 0.856
V3 0.108 0.500 0.532
V4 0.149 0.000 0.343
V5 0.178 0.000 0.027
V6 0.198 0.500 0.793
O1 0.000 0.000 0.000
O2 0.033 0.500 0.766
O3 0.051 0.500 0.497
O4 0.058 0.000 0.241
O5 0.071 0.500 0.039
O6 0.099 0.000 0.903
O7 0.123 0.500 0.721
O8 0.125 0.000 0.515
O9 0.131 0.500 0.365
O10 0.138 0.000 0.161
O11 0.167 0.500 0.975
O12 0.193 0.000 0.840
O13 0.202 0.500 0.639
O14 0.206 0.000 0.388
O15 0.236 0.000 0.122
```


No. 2
VO2: computed powder diffraction line list (Cu Ka), based on a PBE+U-relaxed structure.
No peak broadening, texture or thermal motion is included.

Principal peaks in the range 10 to 80 degrees two-theta, by intensity:
- 18.34 deg, intensity 1000, (1 0 1)
- 42.55 deg, intensity 351, (2 2 0)
- 35.16 deg, intensity 222, (1 2 1)
- 63.21 deg, intensity 162, (2 2 4)
- 44.44 deg, intensity 148, (0 0 4)
- 56.34 deg, intensity 103, (2 3 1)
- 61.74 deg, intensity 91, (4 0 0)
- 36.27 deg, intensity 90, (1 0 3)
- 79.19 deg, intensity 73, (4 0 4)
- 37.17 deg, intensity 61, (2 0 2)

```
data_VO2
_space_group_name_H-M_alt 'I 41/a'
_space_group_IT_number 88
_cell_length_a 6.010
_cell_length_b 6.010
_cell_length_c 8.155
_cell_angle_alpha 90.00
_cell_angle_beta 90.00
_cell_angle_gamma 90.00
loop_
_space_group_symop_operation_xyz
'x,y,z'
'-x,-y,-z'
'-y+3/4,x+1/4,z+1/4'
'y+3/4,-x+1/4,-z+1/4'
'-x+1/2,-y,z+1/2'
'x+1/2,y,-z+1/2'
'y+3/4,-x+3/4,z+3/4'
'-y+3/4,x+3/4,-z+3/4'
'x+1/2,y+1/2,z+1/2'
'-x+1/2,-y+1/2,-z+1/2'
'-y+1/4,x+3/4,z+3/4'
'y+1/4,-x+3/4,-z+3/4'
'-x,-y+1/2,z'
'x,y+1/2,-z'
'y+1/4,-x+1/4,z+1/4'
'-y+1/4,x+1/4,-z+1/4'
loop_
_atom_site_label
_atom_site_fract_x
_atom_site_fract_y
_atom_site_fract_z
V1 0.000 0.000 0.000
O1 0.001 0.029 0.232
```
└──

Reply:
'-y+3/4,x+3/4,-z+3/4'
'x+1/2,y+1/2,z+1/2'